## Work order
What is needed: set down every line underneath that contains the word "with".
## Given
Entry 1:
Here is 16 unconnected molecules or ions with the total composition C50H87Cl30F2NO6P in a non-equilibrium geometry from OMol25. Energies are from ωB97M-V/def2-TZVPD.

Calculated values
E_HOMO: -0.38118 Ha
max |F|: 5.76 eV/Å
E: -16809.44104 Ha
total charge: +1
HOMO-LUMO gap: 5.8 eV

The geometry in XYZ format:
```
177
C50H87Cl30F2NO6P | OMol25 | ωB97M-V/def2-TZVPD
C 10.121 5.096 2.826
C 9.319 6.181 3.797
O 8.165 6.748 3.082
C 6.988 5.867 3.127
C 6.892 4.871 1.786
C 5.321 4.305 1.690
C 4.981 2.703 2.030
C 6.195 1.682 2.445
C 6.778 2.216 3.906
F 7.273 1.564 1.400
C 3.369 2.268 1.927
C 3.002 0.689 2.309
O 2.828 -0.178 1.134
C 3.375 0.421 -0.094
C 4.992 0.399 -0.466
C 5.656 1.068 -1.816
C 4.688 1.806 -2.921
C 3.064 1.816 -2.632
C 2.406 1.151 -1.245
C 2.192 3.377 1.501
P 0.348 2.887 1.417
O 0.068 1.353 1.163
O -0.559 3.750 0.157
O -0.373 3.390 2.952
C 2.736 4.930 1.198
C 1.684 6.163 0.785
C 1.327 6.159 -0.843
F 0.438 6.145 1.639
N 4.227 5.313 1.280
O 4.680 6.576 0.993
H 11.277 5.188 3.066
H 9.796 3.974 3.055
H 9.961 5.356 1.679
H 9.083 5.745 4.857
H 10.090 7.074 3.974
H 6.005 6.491 3.278
H 7.102 5.204 4.112
H 7.674 4.023 1.977
H 7.189 5.499 0.835
H 5.844 0.564 2.644
H 6.038 3.052 4.329
H 6.708 1.328 4.691
H 7.894 2.569 3.867
H 1.943 0.715 2.859
H 3.745 0.242 3.129
H 5.689 -0.144 0.320
H 6.826 1.062 -2.031
H 5.206 2.290 -3.868
H 2.369 2.320 -3.436
H 1.238 1.226 -1.165
H -1.527 3.496 0.215
H 0.247 4.059 3.401
H 2.160 7.237 0.985
H 1.830 5.262 -1.403
H 0.167 6.021 -0.931
H 1.609 7.218 -1.290
H 4.316 6.866 0.089
Cl -1.415 -3.937 -0.453
C -1.383 -2.190 -0.109
C -1.330 -1.901 1.383
Cl -2.848 -2.335 2.207
H -2.262 -1.735 -0.576
H -0.491 -1.787 -0.598
H -1.175 -0.830 1.549
H -0.512 -2.442 1.870
Cl 9.909 9.806 4.734
C 8.941 10.269 3.312
C 7.789 11.192 3.677
Cl 6.535 10.358 4.628
H 8.586 9.352 2.830
H 9.619 10.776 2.619
H 7.305 11.559 2.768
H 8.133 12.057 4.253
Cl 6.909 7.768 -1.496
C 5.941 8.230 -2.918
C 4.789 9.154 -2.553
Cl 3.535 8.320 -1.602
H 5.586 7.314 -3.400
H 6.619 8.738 -3.611
H 4.305 9.521 -3.462
H 5.133 10.019 -1.977
Cl -8.072 -0.472 0.247
C -7.073 -1.677 -0.604
C -5.596 -1.533 -0.274
Cl -4.898 -0.041 -0.953
H -7.259 -1.575 -1.677
H -7.430 -2.662 -0.289
H -5.036 -2.368 -0.705
H -5.422 -1.528 0.807
Cl 6.860 4.976 6.576
C 7.121 5.175 8.326
C 8.005 6.371 8.642
Cl 9.690 6.117 8.122
H 7.546 4.245 8.714
H 6.134 5.313 8.779
H 8.030 6.539 9.723
H 7.636 7.284 8.164
Cl -2.860 -9.713 -2.960
C -2.828 -7.966 -2.615
C -2.775 -7.677 -1.123
Cl -4.293 -8.111 -0.299
H -3.707 -7.512 -3.083
H -1.936 -7.563 -3.104
H -2.620 -6.606 -0.958
H -1.957 -8.218 -0.636
Cl 4.960 6.683 10.025
C 4.348 8.347 9.859
C 5.413 9.384 10.177
Cl 5.841 9.400 11.907
H 3.474 8.454 10.509
H 4.017 8.460 8.822
H 5.042 10.385 9.934
H 6.329 9.212 9.603
Cl -9.696 -5.202 -0.408
C -8.697 -6.407 -1.259
C -7.220 -6.263 -0.929
Cl -6.522 -4.771 -1.607
H -8.883 -6.305 -2.332
H -9.054 -7.392 -0.944
H -6.660 -7.098 -1.360
H -7.046 -6.258 0.152
Cl -11.640 -7.884 0.464
C -12.800 -7.377 -0.789
C -13.771 -8.489 -1.155
Cl -12.970 -9.824 -2.020
H -12.231 -7.036 -1.660
H -13.349 -6.522 -0.385
H -14.546 -8.100 -1.822
H -14.262 -8.903 -0.269
Cl -5.640 2.413 3.809
C -4.053 1.637 4.033
C -3.056 2.050 2.961
Cl -3.481 1.394 1.360
H -4.203 0.554 4.048
H -3.687 1.944 5.018
H -2.063 1.663 3.208
H -2.985 3.139 2.874
Cl -14.070 -8.843 -5.388
C -13.071 -10.048 -6.238
C -11.594 -9.904 -5.908
Cl -10.896 -8.412 -6.587
H -13.257 -9.946 -7.312
H -13.428 -11.033 -5.924
H -11.034 -10.739 -6.339
H -11.420 -9.899 -4.828
Cl -9.677 -12.843 -7.871
C -10.554 -12.940 -9.418
C -11.697 -11.939 -9.493
Cl -13.023 -12.348 -8.377
H -10.909 -13.967 -9.544
H -9.826 -12.733 -10.208
H -12.122 -11.935 -10.502
H -11.360 -10.924 -9.262
Cl 1.039 -5.061 -6.056
C -0.402 -6.106 -5.990
C -1.633 -5.357 -5.504
Cl -1.514 -4.913 -3.783
H -0.171 -6.962 -5.348
H -0.569 -6.477 -7.006
H -2.518 -5.991 -5.607
H -1.801 -4.441 -6.080
Cl 6.409 -1.697 -0.577
C 6.650 -3.202 0.344
C 5.398 -4.065 0.371
Cl 4.097 -3.332 1.343
H 6.977 -2.934 1.353
## Here it is
Here is 16 unconnected molecules or ions with the total composition C50H87Cl30F2NO6P in a non-equilibrium geometry from OMol25. Energies are from ωB97M-V/def2-TZVPD.